Illustration of an industrial area

Inbound Marketing is for Industrial Manufacturers, Too

The way people find information and products has changed. Think of a conversation pre-Google, and compare it to now — I don’t know about you, but I commonly fact-check myself as I talk, looking up details in the middle of a conversation. If I have a problem, I head to my favorite search engine to instantly find a way to solve it. In the past, if I didn’t know about a product or service, I had to wait for a sales representative to find me and sell me. Now, I can discover solutions myself. 

B2B marketing in the age of the empowered consumer

While the empowered consumer first changed the way B2C companies go to market, these new realities soon caught up to many B2B companies. It’s a total myth that B2B customers are less likely to engage with internet research during their customer journey. In fact, 89% of B2B customers use the Internet to inform their research, and B2B customers prefer independent research to a briefing by a sales representative. 


Over the past decade, it’s become increasingly important for B2B companies to have strong branding, search-engine optimized websites, compelling content marketing, and easy ecommerce options. Today, if a potential customer doesn’t find your B2B company online, they’ll probably find a competitor — and there’s a sale lost.

For a long time, however, it seemed like industrial manufacturing companies might be one of the fews holdouts. With sales often going through distribution channels, digital marketing and search engine optimization didn’t seem as important. An industrial manufacturer could get away with a website that hadn’t been updated since the late 90s and could opt out of even basic online directory tools like Google My Business

Then, 2020 happened.


COVID-19 has rapidly changed the way we operate

The world is very different today than it was at the end of 2019, and marketers have had to quickly adapt. Face-to-face meetings or site visits are much more difficult, meaning the primary sales avenue for many industrial manufacturers is off the table. The days of just “dropping by” are behind us, but cold-calling via the phone doesn’t work so well anymore either.


But wait! There’s a silver lining for old-school sales teams: there has never been a better time to try an inbound approach. This year, HubSpot aggregated data from over 70,000 of their CRM customers globally and found that, over the course of 2020, website visits, email open rates, and live chat engagements have increased drastically. People are looking for help online — your company just needs to be there to be found. 

Data records that have nothing to do with the text =
/*
This record from the Open Molecules 2025 dataset describes a 6-piece molecular cluster, H12O6 overall in a non-equilibrium geometry. The level of theory is ωB97M-V/def2-TZVPD.

Each line ends with the Mulliken charge.
CARTESIAN COORDINATES (ANGSTROEM)
H  0.965  -5.300  0.992  0.319
O  -0.481  1.597  -2.070  -0.676
H  -1.972  -1.283  0.091  0.289
H  -0.898  0.719  -2.159  0.318
H  1.876  -0.768  -2.038  0.320
O  1.839  -4.884  0.912  -0.639
H  -0.549  -1.567  -0.237  0.252
H  0.476  -0.666  -1.334  0.440
H  -1.314  1.003  0.099  0.361
H  -0.961  2.195  -1.459  0.347
O  -1.254  -0.950  -0.451  -0.677
H  1.739  -4.149  0.316  0.319
O  -1.953  1.649  0.434  -0.684
H  -1.330  2.193  0.930  0.350
H  0.693  4.391  2.070  0.320
H  1.409  3.482  3.115  0.311
O  0.636  3.588  2.582  -0.622
O  1.077  -1.249  -1.795  -0.647

As for the SMILES: O.O.O.O.O.O. The relative energy (zero: lowest compared OMol25 entry of this formula, charge and spin) comes out at 36.6 kcal per mole. For the orbital gap, the calculation gives 11.42 eV. As for the lowest unoccupied orbital energy: 0.234 eV. As for the HOMO energy: -11.2 eV.



This record from the Open Molecules 2025 dataset describes C45H60Cl5GeN4P3Pd as an isolated structure in a non-equilibrium geometry. The level of theory is ωB97M-V/def2-TZVPD.

Each line ends with the Mulliken charge.
CARTESIAN COORDINATES (ANGSTROEM)
H  3.647  -1.742  4.064  0.295
H  4.963  -0.623  3.785  0.509
C  -0.573  1.444  -3.499  0.305
H  -1.169  -0.308  4.946  0.485
C  -0.230  -2.202  -3.008  1.286
H  -1.606  3.095  -2.474  0.930
H  2.722  0.381  5.219  0.364
P  1.493  -0.311  2.310  2.417
H  1.805  -1.611  5.188  0.398
H  4.331  -1.549  2.444  0.322
C  1.845  3.935  -2.145  -1.207
H  -2.752  -5.144  0.239  0.613
C  -0.237  0.070  4.528  -1.475
C  -3.065  -1.798  -0.421  0.772
C  4.517  3.038  0.598  -0.285
C  0.532  -6.405  -0.272  -1.193
N  -2.122  -0.811  -0.792  0.759
H  -2.273  2.654  -4.042  0.440
H  1.636  -0.500  -3.679  0.766
P  0.818  1.348  -2.247  1.562
Cl  5.609  5.220  1.735  -0.119
Cl  0.810  3.253  3.147  -0.122
H  0.308  -2.518  5.118  0.488
H  -3.210  2.852  -1.759  0.457
H  3.732  3.055  -4.037  0.489
H  -1.193  -5.832  -1.421  0.561
C  -2.525  -3.101  -0.367  -0.282
C  1.936  2.652  -2.975  0.828
H  -0.447  1.006  4.011  0.029
H  2.352  4.736  -2.682  0.576
H  4.042  2.341  -2.471  0.247
C  -0.257  -4.162  -0.456  0.090
C  -0.870  -3.122  -5.150  -1.039
N  -1.177  -3.125  -0.928  1.158
C  3.161  4.196  2.235  0.005
C  1.569  -5.945  0.529  -1.020
C  -1.188  -3.080  -2.382  0.471
H  1.570  -2.863  3.955  0.286
H  0.202  2.225  -5.384  0.586
H  -3.217  -0.576  1.923  0.271
C  -1.603  4.486  0.853  -1.449
C  1.953  -1.754  1.290  -2.211
H  -3.940  3.335  -0.238  0.275
H  0.422  0.297  5.360  0.444
H  2.233  1.797  4.302  0.379
Cl  3.699  0.689  -0.492  -0.103
Cl  2.997  5.413  3.423  -0.126
H  0.450  -7.455  -0.510  0.484
P  -1.575  1.588  0.442  2.307
H  -0.772  3.553  -3.941  0.408
C  -3.215  -4.173  0.150  -0.263
*/


Inbound marketing is a lead generator for sales

Inbound marketing is the process of using compelling content that is optimized for search to capture leads and nurture them until they’re ready to talk to sales. Think of it this way: instead of casting a net and hoping to catch some fish, you become the fish. Once you are the fish, you make it as easy as possible to be caught in your audience’s net as they search the Internet for solutions to their challenges. 

The basic elements of inbound marketing — the things that help you get caught in more searches — include: 

  • a well-organized, functional website with good SEO
  • regularly published content (usually a blog or social media)
  • a reason to convert from a visitor to a lead (usually a downloadable offer or promotion)
  • email marketing to nurture leads 
  • customer relationship management (CRM) software or processes to support alignment between marketing and sales

'''
Computed, not measured: a molecular structure, C49H37ClN3O3Re in a non-equilibrium geometry, with wB97M-V/def2-TZVPD.

Each line ends with the Löwdin spin population.
Atoms and positions in Å:
Re 0.5393 0.0219 -0.2687  0.79
O 0.2664 -0.0806 -2.0878  0.09
C -0.5861 -0.4811 -3.1184  0.01
C -2.0391 -0.3449 -2.6289  0.00
C -2.4154 -0.9583 -1.3139  0.00
C -3.5828 -1.7063 -1.2665  0.00
C -4.1018 -2.0985 -0.0474  0.00
C -3.4541 -1.6822 1.0967  0.00
C -2.2681 -0.9667 0.9969  0.00
C -1.5744 -0.5827 2.2632  0.00
C -1.0258 0.8550 2.2644  0.01
O -0.0666 1.0360 1.2611  0.05
C -2.1999 1.8246 2.0747  0.00
C -3.0176 2.1560 3.1498  0.00
C -4.0669 3.0447 2.9775  0.00
C -4.3159 3.6021 1.7320  0.00
C -3.5188 3.2557 0.6532  0.00
C -2.4643 2.3706 0.8244  0.00
C -0.3157 1.1649 3.5887  0.00
C -0.1415 0.2490 4.6175  0.00
C 0.5387 0.6189 5.7730  0.00
C 1.0544 1.8972 5.9077  0.00
C 0.8882 2.8136 4.8768  0.00
C 0.2092 2.4484 3.7277  0.00
N -1.7364 -0.6441 -0.1934  0.00
C -0.5142 0.5549 -4.2628  0.00
C -1.0917 0.2999 -5.5008  0.00
C -1.2576 1.3254 -6.4195  0.00
C -0.8147 2.6074 -6.1345  0.00
C -0.1705 2.8511 -4.9325  0.00
C -0.0416 1.8365 -3.9949  0.00
C -0.1878 -1.8762 -3.5931  0.00
C -1.0627 -2.7074 -4.2850  0.00
C -0.6252 -3.9190 -4.7989  0.00
C 0.6825 -4.3337 -4.6072  0.00
C 1.5519 -3.5280 -3.8890  0.00
C 1.1187 -2.3113 -3.3874  0.00
H -2.7119 -0.6998 -3.4049  0.00
H -2.2018 0.7325 -2.5189  0.00
H -4.0896 -1.9547 -2.1876  0.00
H -5.0093 -2.6836 0.0074  0.00
H -3.8428 -1.9151 2.0770  0.00
H -0.7458 -1.2762 2.4135  0.00
H -2.2736 -0.6960 3.0895  0.00
H -2.8202 1.7364 4.1287  0.00
H -4.6880 3.3127 3.8217  0.00
H -5.1222 4.3121 1.6071  0.00
H -3.7106 3.6837 -0.3221  0.00
H -1.8228 2.1166 -0.0089  0.00
H -0.5328 -0.7571 4.5476  0.00
H 0.6542 -0.0995 6.5746  0.00
H 1.5741 2.1803 6.8133  0.00
H 1.2791 3.8182 4.9709  0.00
H 0.0738 3.1576 2.9211  0.00
H -1.4333 -0.6947 -5.7510  0.00
H -1.7632 1.1299 -7.3555  0.00
H -0.9770 3.4134 -6.8365  0.00
H 0.2152 3.8373 -4.7103  0.00
H 0.3944 2.0576 -3.0299  0.00
H -2.0985 -2.4263 -4.4236  0.00
H -1.3142 -4.5372 -5.3588  0.00
H 1.0157 -5.2811 -5.0079  0.00
H 2.5752 -3.8377 -3.7238  0.00
H 1.8066 -1.6997 -2.8213  0.00
Cl 0.6732 -4.9382 5.3774  0.00
C 0.7096 -4.1525 3.8359  0.00
C 0.1071 -4.7644 2.7204  0.00
C 0.0972 -4.1352 1.5084  0.00
C 0.6740 -2.8450 1.3128  0.00
O 0.5901 -2.2935 0.1584  0.01
C 1.3261 -2.2667 2.4513  0.00
C 2.0553 -1.0618 2.3730  0.00
N 2.0846 -0.2450 1.3714  0.00
C 3.0481 0.7670 1.3140  0.00
C 3.7510 1.3200 2.3596  0.00
C 4.8074 2.2129 2.1129  0.00
C 5.1941 2.5186 0.8369  0.00
C 4.4770 1.9917 -0.2588  0.00
C 4.8230 2.2154 -1.6081  0.00
C 4.0404 1.6824 -2.5970  0.00
C 2.8714 0.9938 -2.2484  0.00
N 2.5223 0.7627 -0.9991  0.00
C 3.3464 1.1873 -0.0017  0.00
C 1.3259 -2.9457 3.6920  0.00
H -0.3610 -5.7322 2.8393  0.00
H -0.3559 -4.5991 0.6421  0.00
H 2.6944 -0.8512 3.2302  0.00
H 3.4925 1.0825 3.3831  0.00
H 5.3398 2.6380 2.9521  0.00
H 6.0354 3.1695 0.6424  0.00
H 5.7034 2.7999 -1.8402  0.00
H 4.2817 1.7945 -3.6437  0.00
'''

This last item is key. A good CRM allows industrial manufacturing organizations to easily track interactions with potential clients with notes, email functionality, open-deal tracking, and website analytics. The more you know about a lead, the easier it is to focus on the leads who are most likely to close, and tracking the entire relationship — lead to opportunity to customer — gives you insight into which marketing channels and sales activities provide the best ROI.


Inbound is a different way of working, one that allows marketing to build relationships over time so that sales reps can focus their energies on warm leads and top prospects, leading to more conversions with less wasted time.


Building on the basics

**The page is interrupted by molecular data:**
No. 1
Here is a structure of composition C40H63IrN7O2P from OMol25. Energies are from the ωB97M-V functional and the def2-TZVPD basis.

F_max: 4.4 eV/A
<S²>: 0.796
energy relative to the best compared isomer or geometry (same formula, charge and spin): 199.9 kJ/mol
multiplicity: 2
charge: +3
orbital gap (spin up / spin down): 6.45 / 5.77 eV

Geometry (Å):
Ir (-0.746, 1.164, -0.691)
C (-1.916, -1.648, -0.346)
N (-2.524, -0.299, -0.201)
C (-3.655, -0.123, -1.146)
C (-2.917, -0.060, 1.177)
C (-4.017, -0.692, 1.708)
C (-4.407, -0.442, 3.023)
C (-3.732, 0.519, 3.769)
C (-2.642, 1.168, 3.237)
C (-2.146, 0.818, 1.958)
N (-1.026, 1.333, 1.387)
C (-0.126, 2.124, 2.057)
C (0.172, 2.016, 3.429)
C (0.893, 3.007, 4.059)
C (1.323, 4.120, 3.341)
C (1.155, 4.159, 1.960)
C (0.505, 3.127, 1.318)
N (0.509, 2.998, -0.126)
C (0.218, 4.251, -0.853)
C (1.854, 2.469, -0.533)
H (-2.626, -2.423, -0.048)
H (-1.035, -1.703, 0.286)
H (-1.637, -1.812, -1.386)
H (-4.277, -1.018, -1.184)
H (-3.271, 0.060, -2.148)
H (-4.271, 0.718, -0.836)
H (-4.578, -1.399, 1.112)
H (-5.252, -0.970, 3.443)
H (-4.069, 0.768, 4.766)
H (-2.180, 1.973, 3.787)
H (-0.137, 1.133, 3.972)
H (1.106, 2.921, 5.116)
H (1.840, 4.926, 3.843)
H (1.558, 4.994, 1.401)
H (1.086, 4.912, -0.861)
H (-0.616, 4.769, -0.383)
H (-0.033, 4.025, -1.887)
H (2.644, 3.161, -0.233)
H (1.893, 2.355, -1.616)
H (2.030, 1.509, -0.051)
O (0.900, -0.658, -0.072)
P (2.111, -1.587, -0.163)
C (1.831, -3.265, 0.536)
C (1.682, -3.169, 2.062)
C (1.673, -4.578, 2.671)
C (0.783, -5.555, 1.878)
C (-0.173, -4.795, 0.966)
C (0.612, -3.991, -0.083)
C (3.575, -0.798, 0.620)
C (3.202, -0.056, 1.917)
C (4.323, 0.923, 2.282)
C (5.715, 0.295, 2.074)
C (5.638, -1.227, 2.053)
C (4.797, -1.715, 0.859)
C (2.596, -1.770, -1.936)
C (1.358, -2.037, -2.802)
C (1.811, -2.345, -4.233)
C (2.529, -3.703, -4.275)
C (3.231, -4.030, -2.945)
C (3.728, -2.773, -2.236)
H (2.748, -3.821, 0.320)
H (0.760, -2.631, 2.301)
H (2.510, -2.621, 2.508)
H (1.325, -4.493, 3.701)
H (2.693, -4.962, 2.722)
H (0.210, -6.175, 2.567)
H (1.394, -6.247, 1.294)
H (-0.788, -4.121, 1.573)
H (-0.846, -5.486, 0.458)
H (-0.073, -3.273, -0.533)
H (0.950, -4.677, -0.860)
H (3.849, -0.021, -0.107)
H (3.079, -0.776, 2.724)
H (2.249, 0.470, 1.809)
H (4.199, 1.211, 3.328)
H (4.238, 1.839, 1.688)
H (6.396, 0.620, 2.860)
H (6.153, 0.645, 1.135)
H (5.199, -1.587, 2.987)
H (6.635, -1.660, 1.987)
H (4.491, -2.746, 1.048)
H (5.433, -1.712, -0.027)
H (2.942, -0.749, -2.146)
H (0.691, -1.170, -2.774)
H (0.799, -2.900, -2.438)
H (2.481, -1.547, -4.565)
H (0.949, -2.352, -4.902)
H (3.264, -3.698, -5.081)
H (1.819, -4.495, -4.513)
H (4.070, -4.702, -3.122)
H (2.531, -4.567, -2.299)
H (4.459, -2.279, -2.879)
H (4.269, -3.052, -1.331)
C (-5.897, 3.163, -3.553)
C (-6.163, 4.120, -2.394)
C (-6.775, 3.404, -1.191)
C (-4.892, 4.900, -2.008)
N (-3.863, 4.028, -1.431)
C (-2.921, 3.312, -2.028)
N (-2.297, 2.620, -1.090)
N (-2.885, 2.932, 0.089)
N (-3.819, 3.767, -0.114)
H (-6.831, 2.712, -3.882)

Most companies have at least a basic website these days. Building on that basic site by making sure it adheres to current web design and development best practices and is optimized for search is a great first step toward inbound marketing. From there, investing in content that demonstrates thought leadership and the effective use of your products or services is an easy next step, and one that Trekk has helped countless clients navigate efficiently and cost-effectively.


Most industrial manufacturers we’ve worked with have databases full of old contacts that simply need to be cleaned up, organized, and imported into a good CRM. Once they’re segmented, the prospects can be nurtured for future sales follow-up and the past customers can be reengaged. 


Are you ready to make the transition from old-school sales techniques to the inbound methodology? We can help. Send us a message to start the conversation.